+++
1.
Material: RbAl2SbS6
Method: DFT, PBE-GGA
State: optimized geometry

```
RbAl2SbS6
1.0
6.835 -6.971 0.000
6.835 6.971 0.000
-3.125 0.000 6.718
Rb Al Sb S
2 4 2 12
Cartesian
4.491 5.979 5.038
6.054 -5.979 1.679
1.195 1.021 5.749
2.758 -1.021 2.390
7.787 1.021 4.328
9.350 -1.021 0.969
6.054 3.360 1.679
4.491 -3.360 5.038
4.130 4.721 2.139
2.001 0.627 3.646
3.040 2.221 6.306
7.978 4.721 1.220
3.563 -0.627 0.287
5.942 2.221 3.771
4.603 -2.221 2.947
6.982 0.627 6.431
2.567 -4.721 5.498
7.505 -2.221 0.412
8.545 -0.627 3.072
6.416 -4.721 4.579
```

Summary:
size of the total moment	0.00	μB per cell
formation energy without anion corrections	-644.8	meV per atom
E_tot	-4.3787	eV per atom
SG	C2/c, No. 15


2.
Material: Rb2AlSbS4
Method: DFT, PBE-GGA
State: optimized geometry

```
Rb2AlSbS4
1.0
-3.724 3.724 4.521
3.724 -3.724 4.521
3.724 3.724 -4.521
Rb Al Sb S
2 1 1 4
Cartesian
0.000 0.000 0.000
0.000 3.724 2.260
3.724 0.000 2.260
0.000 0.000 4.521
2.112 -1.147 3.396
2.578 1.613 1.125
1.613 4.871 -1.125
1.147 2.112 5.646
```

Summary:
size of the total moment	0.00	μB per cell
formation energy without anion corrections	-882.9	meV per atom
E_tot	-4.1717	eV per atom
SG	I-4, No. 82


3.
Material: Rb2ScAlS4
Method: DFT, PBE-GGA
State: optimized geometry

```
Rb2ScAlS4
1.0
-3.999 4.093 5.742
3.999 -4.093 5.742
3.999 4.093 -5.742
Rb Sc Al S
4 2 2 8
Cartesian
0.000 0.000 0.000
-1.999 2.046 2.871
0.000 4.093 0.000
1.999 2.046 2.871
3.999 0.000 0.000
0.000 0.000 5.742
1.999 2.046 -2.871
1.999 -2.046 2.871
3.999 -0.425 2.664
3.999 3.668 -2.664
2.305 2.046 -0.309
5.692 2.046 -0.309
-1.693 2.046 6.051
1.693 2.046 6.051
0.000 0.425 8.407
0.000 4.517 3.078
```

Summary:
size of the total moment	0.00	μB per cell
formation energy without anion corrections	-1235.4	meV per atom
E_tot	-4.8003	eV per atom
SG	Imma, No. 74


4.
Material: Rb2Sc2AlS6
Method: DFT, PBE-GGA
State: optimized geometry

```
Rb2Sc2AlS6
1.0
3.205 -5.514 0.000
3.205 5.514 0.000
-2.233 0.000 7.883
Rb Sc Al S
2 2 1 6
Cartesian
3.205 3.633 0.000
3.205 -3.633 0.000
2.088 1.844 3.941
2.088 -1.844 3.941
-1.117 0.000 3.941
-0.089 1.748 5.343
0.916 0.000 2.555
-0.089 -1.748 5.343
4.265 1.748 2.540
3.261 0.000 5.328
4.265 -1.748 2.540
```

Summary:
size of the total moment	0.00	μB per cell
formation energy without anion corrections	-1415.9	meV per atom
density of states at the Fermi level	7.94	states/eV per cell
E_tot	-5.3346	eV per atom
SG	C2/m, No. 12


5.
Material: Rb3Sc3AlS8
Method: DFT, PBE-GGA
State: optimized geometry

```
Rb3Sc3AlS8
1.0
3.735 2.156 7.853
-3.735 2.156 7.853
0.000 -4.313 7.853
Rb Sc Al S
3 3 1 8
Cartesian
-1.868 -1.078 7.853
-1.868 1.078 15.705
0.000 2.156 7.853
-3.735 0.000 11.779
-1.868 1.078 3.926
1.868 1.078 3.926
0.000 0.000 11.779
0.000 0.000 5.371
-1.793 -1.035 13.161
0.000 -2.070 10.397
-1.793 1.035 10.397
1.793 -1.035 13.161
0.000 2.070 13.161
1.793 1.035 10.397
0.000 0.000 18.187
```

Summary:
size of the total moment	0.00	μB per cell
formation energy without anion corrections	-1489.8	meV per atom
density of states at the Fermi level	8.67	states/eV per cell
E_tot	-5.4004	eV per atom
SG	R-3m, No. 166


6.
Material: RbScAlS4
Method: DFT, PBE-GGA
State: optimized geometry

```
RbScAlS4
1.0
6.612 0.000 0.000
0.000 5.646 0.000
-2.677 0.000 9.015
Rb Sc Al S
2 2 2 8
Cartesian
0.401 1.411 4.111
3.533 4.234 4.904
-0.890 1.411 8.494
4.824 4.234 0.521
1.174 4.234 1.432
2.760 1.411 7.583
-0.538 4.234 2.799
-2.106 4.234 8.321
1.056 2.904 7.305
1.056 5.565 7.305
2.878 0.081 1.711
2.878 2.742 1.711
6.040 1.411 0.695
4.472 1.411 6.216
```

Summary:
size of the total moment	0.00	μB per cell
formation energy without anion corrections	-1253.6	meV per atom
density of states at the Fermi level	3.72	states/eV per cell
E_tot	-5.1895	eV per atom
SG	P2_1/m, No. 11


7.
Material: RbAl2SiS6
Method: DFT, PBE-GGA
State: optimized geometry

```
RbAl2SiS6
1.0
6.183 -6.917 0.000
6.183 6.917 0.000
-3.425 0.000 6.667
Rb Al Si S
2 4 2 12
Cartesian
3.614 5.409 5.001
5.327 -5.409 1.667
+++

Could you echo the part of the data further up that starts with the line with "-1.693 2.046" and stops after the one with "-1.868 -1.078"?

-1.693 2.046 6.051
1.693 2.046 6.051
0.000 0.425 8.407
0.000 4.517 3.078
```

Summary:
size of the total moment	0.00	μB per cell
formation energy without anion corrections	-1235.4	meV per atom
E_tot	-4.8003	eV per atom
SG	Imma, No. 74


4.
Material: Rb2Sc2AlS6
Method: DFT, PBE-GGA
State: optimized geometry

```
Rb2Sc2AlS6
1.0
3.205 -5.514 0.000
3.205 5.514 0.000
-2.233 0.000 7.883
Rb Sc Al S
2 2 1 6
Cartesian
3.205 3.633 0.000
3.205 -3.633 0.000
2.088 1.844 3.941
2.088 -1.844 3.941
-1.117 0.000 3.941
-0.089 1.748 5.343
0.916 0.000 2.555
-0.089 -1.748 5.343
4.265 1.748 2.540
3.261 0.000 5.328
4.265 -1.748 2.540
```

Summary:
size of the total moment	0.00	μB per cell
formation energy without anion corrections	-1415.9	meV per atom
density of states at the Fermi level	7.94	states/eV per cell
E_tot	-5.3346	eV per atom
SG	C2/m, No. 12


5.
Material: Rb3Sc3AlS8
Method: DFT, PBE-GGA
State: optimized geometry

```
Rb3Sc3AlS8
1.0
3.735 2.156 7.853
-3.735 2.156 7.853
0.000 -4.313 7.853
Rb Sc Al S
3 3 1 8
Cartesian
-1.868 -1.078 7.853